## Material
=====
{"formula": "C5H15NO2", "method": "wB97M-V/def2-TZVPD", "species": ["H", "C", "C", "O", "H", "C", "H", "H", "H", "H", "H", "N", "H", "H", "C", "H", "H", "H", "H", "H", "O", "C", "H"], "xyz": [[1.502, -1.829, 2.325], [0.606, -0.166, 0.310], [1.166, -2.220, 1.347], [-4.912, -0.150, -0.545], [-3.988, -0.407, -0.393], [0.886, 0.861, -0.773], [0.097, -2.405, 1.375], [3.511, -1.817, 0.394], [1.685, 1.503, -0.381], [0.011, 2.611, -1.676], [3.046, -0.267, 1.221], [1.490, -1.327, 0.254], [-0.407, -0.548, 0.223], [-5.011, -0.130, -1.514], [-0.309, 1.745, -1.087], [1.279, 0.435, -1.698], [-0.337, 2.443, 0.720], [3.156, -0.345, -0.515], [0.671, 0.306, 1.303], [1.653, -3.183, 1.201], [-0.995, 2.193, 0.064], [2.889, -0.934, 0.356], [-1.018, 1.249, -1.761]], "atomic_forces_ev_per_a": [[-0.193, 0.049, -0.056], [0.016, -0.580, -0.282], [0.194, -0.290, 0.065], [0.318, -0.139, -0.532], [-0.417, 0.168, -0.089], [0.342, 0.589, 0.369], [-0.163, 0.044, 0.069], [0.231, -0.104, 0.156], [0.028, 0.096, -0.215], [0.243, 0.045, 0.030], [0.202, -0.293, 0.213], [0.103, 0.175, 0.133], [-0.270, 0.006, -0.068], [0.100, -0.014, 0.627], [0.119, 0.282, -0.716], [-0.161, -0.269, 0.059], [-0.035, 0.095, 0.019], [0.199, -0.058, -0.223], [0.009, 0.129, 0.075], [0.113, -0.052, -0.023], [-0.224, -0.191, 0.125], [-0.615, 0.531, -0.261], [-0.137, -0.221, 0.526]], "lowdin_charge": [0.089, -0.239, -0.123, -0.073, 0.031, -0.186, 0.080, 0.083, 0.111, 0.111, 0.092, -0.275, 0.117, 0.040, -0.282, 0.121, 0.084, 0.070, 0.121, 0.081, -0.064, -0.108, 0.119], "e_above_lowest_ev": 1.444, "smiles": "CN(C)CCCO.O", "orbital_gap_ev": 9.52, "mol_weight_da": 121.180, "energy_ev": -11012.502}


No. 1
Density functional theory data (the ωB97M-V functional and the def2-TZVPD basis) for 2 unconnected molecules or ions with the total composition C11H15NS.

```
28
Properties=species:S:1:pos:R:3:nbo_charge:R:1
C 0.20358 -1.91963 -3.11308 -0.62
C 1.01051 -1.30742 -0.75615 -0.19
C 0.03688 -1.70461 -1.65117 -0.10
C -0.93109 -1.62264 0.38371 0.17
C -1.20676 -1.80646 -0.98798 -0.14
C -1.94267 -1.57847 1.36975 -0.43
C -2.57106 -1.96785 -1.37194 -0.39
C -3.25750 -1.45197 0.88936 -0.32
C -3.56877 -1.69022 -0.45334 -0.25
N 0.40767 -1.26854 0.51696 -0.56
H 2.07374 -1.16676 -0.86126 0.17
H 0.87724 -1.37359 1.38016 0.38
H -0.09549 -2.93709 -3.44428 0.19
H 1.25291 -1.91931 -3.41636 0.20
H -1.72107 -1.48802 2.42309 0.18
H -2.79019 -2.19981 -2.40806 0.17
H -3.99190 -1.33373 1.68231 0.18
H -4.58485 -1.77366 -0.83109 0.18
H -0.48818 -1.31314 -3.70766 0.20
C 1.95195 4.55348 2.01670 -0.74
C 2.89989 2.02737 1.29362 -0.76
S 2.29075 3.50270 0.54048 0.18
H 2.04270 5.55754 1.58524 0.22
H 0.90791 4.39967 2.25607 0.22
H 2.71267 4.52207 2.78704 0.21
H 2.12331 1.51447 1.86962 0.22
H 3.68883 2.27189 2.01553 0.20
H 3.34497 1.33115 0.59367 0.24
```

spin multiplicity = 2
LUMO level (spin up / spin down) = 2.8 / 2.8 eV
HOMO level (spin up / spin down) = 0.76 / -2.90 eV
Kohn-Sham gap (spin up / spin down) = 2.067 / 5.693 eV
charge = -1

=====

No. 2
Density functional theory data (the ωB97M-V functional and the def2-TZVPD basis) for 2 unconnected molecules or ions with the total composition C11H15NS.

```
28
Properties=species:S:1:pos:R:3:nbo_charge:R:1
C -2.07210 -1.38245 -1.82161 -0.63
C -1.13507 -0.22207 -1.67254 -0.07
C -1.32251 1.06040 -1.28123 -0.05
N -0.08243 1.66122 -1.07069 -0.56
C 0.92119 0.73951 -1.21834 0.23
C 2.31577 0.90927 -1.07772 -0.27
C 3.05948 -0.22742 -1.34631 -0.20
C 2.51763 -1.43419 -1.80466 -0.26
C 1.13202 -1.56413 -1.82280 -0.17
C 0.28825 -0.47637 -1.54585 -0.15
H -1.89941 -1.91989 -0.88596 0.22
H -1.77419 -2.04775 -2.63426 0.22
H -3.11252 -1.10901 -1.98416 0.22
H -2.22868 1.58959 -1.04715 0.21
H 0.06168 2.65061 -1.03245 0.41
H 2.79861 1.86628 -0.98525 0.22
H 4.11456 -0.07905 -1.12258 0.21
H 3.17385 -2.28266 -1.93262 0.21
H 0.82843 -2.54165 -2.15947 0.21
C -1.51199 0.98823 3.88958 -0.61
C -0.81999 0.41593 2.64266 -0.50
S 1.01990 0.43293 2.62232 -0.07
H -2.57479 0.82820 3.71313 0.21
=====
## Brief
Return the lines above up to the one that holds "1.36975 -0.43", that line included.
## Solution
{"formula": "C5H15NO2", "method": "wB97M-V/def2-TZVPD", "species": ["H", "C", "C", "O", "H", "C", "H", "H", "H", "H", "H", "N", "H", "H", "C", "H", "H", "H", "H", "H", "O", "C", "H"], "xyz": [[1.502, -1.829, 2.325], [0.606, -0.166, 0.310], [1.166, -2.220, 1.347], [-4.912, -0.150, -0.545], [-3.988, -0.407, -0.393], [0.886, 0.861, -0.773], [0.097, -2.405, 1.375], [3.511, -1.817, 0.394], [1.685, 1.503, -0.381], [0.011, 2.611, -1.676], [3.046, -0.267, 1.221], [1.490, -1.327, 0.254], [-0.407, -0.548, 0.223], [-5.011, -0.130, -1.514], [-0.309, 1.745, -1.087], [1.279, 0.435, -1.698], [-0.337, 2.443, 0.720], [3.156, -0.345, -0.515], [0.671, 0.306, 1.303], [1.653, -3.183, 1.201], [-0.995, 2.193, 0.064], [2.889, -0.934, 0.356], [-1.018, 1.249, -1.761]], "atomic_forces_ev_per_a": [[-0.193, 0.049, -0.056], [0.016, -0.580, -0.282], [0.194, -0.290, 0.065], [0.318, -0.139, -0.532], [-0.417, 0.168, -0.089], [0.342, 0.589, 0.369], [-0.163, 0.044, 0.069], [0.231, -0.104, 0.156], [0.028, 0.096, -0.215], [0.243, 0.045, 0.030], [0.202, -0.293, 0.213], [0.103, 0.175, 0.133], [-0.270, 0.006, -0.068], [0.100, -0.014, 0.627], [0.119, 0.282, -0.716], [-0.161, -0.269, 0.059], [-0.035, 0.095, 0.019], [0.199, -0.058, -0.223], [0.009, 0.129, 0.075], [0.113, -0.052, -0.023], [-0.224, -0.191, 0.125], [-0.615, 0.531, -0.261], [-0.137, -0.221, 0.526]], "lowdin_charge": [0.089, -0.239, -0.123, -0.073, 0.031, -0.186, 0.080, 0.083, 0.111, 0.111, 0.092, -0.275, 0.117, 0.040, -0.282, 0.121, 0.084, 0.070, 0.121, 0.081, -0.064, -0.108, 0.119], "e_above_lowest_ev": 1.444, "smiles": "CN(C)CCCO.O", "orbital_gap_ev": 9.52, "mol_weight_da": 121.180, "energy_ev": -11012.502}


No. 1
Density functional theory data (the ωB97M-V functional and the def2-TZVPD basis) for 2 unconnected molecules or ions with the total composition C11H15NS.

```
28
Properties=species:S:1:pos:R:3:nbo_charge:R:1
C 0.20358 -1.91963 -3.11308 -0.62
C 1.01051 -1.30742 -0.75615 -0.19
C 0.03688 -1.70461 -1.65117 -0.10
C -0.93109 -1.62264 0.38371 0.17
C -1.20676 -1.80646 -0.98798 -0.14
C -1.94267 -1.57847 1.36975 -0.43